
  • 网络status report;status reporting
  1. WHO上周发表了《2011年全球饮酒与健康状况报告》(GlobalStatusReportonAlcoholandHealth)。

    The WHO released the " Global Status Report on Alcohol and Health 2011 " last week .

  2. 信息鉴证的扩展:IDW企业发展状况报告准则简析

    The Enlargement of Information Assurance : The Analysis of IDW Enterprise 's Developing Status Report

  3. 高校学生辅导员队伍身心健康状况报告&某高校学生辅导员SCL-90问卷调查

    College Student Counselors Physical and Mental Health Report

  4. 杰米.卡鲁那(JaimeCaruana)是国际货币基金组织货币与资本市场部主任,也是国际货币基金组织关于全球金融稳定状况报告的主要作者。

    Jaime Caruana is the principal author of the IMF report on financial stability .

  5. 美国半导体器件QML状况报告

    QML status report of semiconductor devices in USA

  6. 全球第二大太阳能电池板制造商英利集团(YingliSolar)总部所在的保定,在中国环保部周一发表的74个城市空气质量状况报告中,被列为空气污染最严重的城市。

    Baoding , home to Yingli Solar , the world 's second-largest solar panel maker , was the most polluted among the 74 cities on an environment ministry list published on Monday .

  7. 提高重点工业污染源排污状况报告的质量

    Heightening the Quality of Discharge Report of Major Industrial Pollution Sources

  8. 关于人才与人才环境状况报告系统的研究

    A Systematic Analysis of Status Report of Talented People and Employment Environment

  9. 世界社会状况报告补编;

    Supplement to the report on the world social situation ;

  10. 每月项目状况报告,回顾及总结。

    Monthly project report , project review and summarization .

  11. 定期准备抵押品保管的状况报告。

    Periodically report the status of collateral custody .

  12. 首部《中国生态状况报告》问世

    The First Ecological Status Report of China Published

  13. 企业经营状况报告;

    The report on enterprise 's operating situation ;

== Misplaced records of molecules ==
'''
(1)
ORCA calculation (ωB97M-V/def2-TZVPD) on an isolated molecule of CH2ClNS at a distorted geometry.

Last column: Löwdin charge in e.
Positions of all 6 atoms, in Å:
C  -1.710  -0.533  0.830  -1.05
N  1.142  -0.009  -1.123  -0.27
S  -1.525  0.058  2.273  0.62
Cl  -0.669  -0.480  -0.541  0.71
H  0.847  0.950  -1.109  -0.06
H  1.915  0.014  -0.330  0.06

- total energy (eV) = -25912.1919
- total charge = 0
- frontier orbital gap (alpha / beta) (eV) = 7.774 / 7.691
- spin multiplicity = 1
- ΔE to the lowest compared entry with this formula, charge and spin (eV) = 4.711
- LUMO (alpha / beta) (eV) = -0.912 / -0.698

***

(2)
ORCA calculation (ωB97M-V/def2-TZVPD) on a cluster of 4 separate species, C21H27F24N2O5P in total at a distorted geometry.

Last column: Löwdin charge in e.
Positions of all 80 atoms, in Å:
C  -8.351  -1.811  1.258  -0.10
C  -8.345  -2.600  -0.029  -0.25
C  -7.182  -2.311  -0.981  -0.20
C  -5.933  -3.175  -0.786  -0.16
C  -4.767  -2.556  -0.004  -0.20
N  -5.163  -1.485  0.937  -0.18
P  -4.502  -1.688  2.499  0.71
N  -4.171  -0.372  3.254  -0.26
C  -5.053  -0.162  0.464  -0.59
O  -5.716  0.777  0.896  0.09
O  -4.138  -0.037  -0.533  0.08
H  -7.460  -1.936  1.845  0.03
H  -8.542  -0.771  1.067  0.07
H  -9.174  -2.153  1.871  0.07
H  -8.388  -3.664  0.143  0.10
H  -9.234  -2.309  -0.567  0.10
H  -6.967  -1.251  -0.999  0.10
H  -7.560  -2.552  -1.963  0.10
H  -6.235  -4.129  -0.382  0.10
H  -5.542  -3.382  -1.769  0.10
H  -4.015  -2.231  -0.699  0.11
H  -4.311  -3.346  0.573  0.07
H  -5.421  -2.468  3.217  0.01
H  -3.330  -2.436  2.330  0.01
H  -4.714  -0.290  4.100  -0.03
H  -4.447  0.703  -1.071  0.13
C  -0.089  3.835  -0.417  -0.03
C  1.283  3.525  0.213  -0.44
C  2.456  3.199  -0.715  -0.30
F  2.251  2.069  -1.413  0.10
F  3.568  3.013  0.045  0.08
F  1.156  2.560  1.146  0.14
F  1.661  4.665  0.858  0.11
O  -1.077  2.816  -0.419  0.05
C  -1.239  1.919  -1.443  -0.53
C  -1.058  0.479  -0.956  -0.29
F  0.189  0.291  -0.471  0.09
F  -1.230  -0.366  -1.999  0.10
F  -0.462  2.190  -2.506  0.16
F  -2.524  2.023  -1.865  0.14
H  -0.513  4.591  0.240  0.15
H  0.012  4.308  -1.393  0.15
H  2.646  4.022  -1.409  0.18
H  -1.783  0.243  -0.178  0.16
C  0.138  -2.449  2.038  -0.03
C  1.634  -2.581  2.383  -0.44
C  2.652  -2.624  1.238  -0.30
F  2.483  -3.710  0.459  0.10
F  3.892  -2.690  1.774  0.10
F  1.821  -3.637  3.204  0.14
F  1.947  -1.459  3.086  0.11
O  -0.678  -3.621  2.084  0.03
C  -0.824  -4.424  0.973  -0.54
C  -0.363  -5.857  1.249  -0.29
F  0.938  -5.877  1.585  0.11
F  -0.531  -6.588  0.124  0.10
F  -0.237  -3.907  -0.118  0.16
F  -2.151  -4.484  0.686  0.12
H  -0.267  -1.836  2.842  0.15
H  -0.017  -1.881  1.123  0.13
H  2.582  -1.721  0.625  0.17
H  -0.951  -6.292  2.060  0.18
C  6.616  3.536  -1.006  -0.04
C  7.598  2.384  -0.720  -0.44
C  8.872  2.689  0.073  -0.31
F  9.675  3.548  -0.585  0.10
F  9.556  1.535  0.248  0.10
F  7.912  1.755  -1.872  0.14
F  6.909  1.495  0.049  0.11
O  6.637  4.132  -2.298  0.05
'''
== The records of molecules stop here ==

  14. 我国硬质合金发展状况报告会;

    Cemented carbides metal development status record .

  15. 中国农村贫困状况报告

    Report on Rural Poverty Situation in China

  16. 贵国政府是否颁布了国家性立法支持环境状况报告?

    Has your Government enacted national legislation in support of state-of-the-environment ( SOE ) reporting ?

  17. 《经营管理状况报告》。

    A Report on Business Management Status .

  18. 分析工作状况报告只是项目控制的第一步。

    Review of a job status report is only the first step in project control .

  19. 其中一个重要指标就是劳工部每月在发表的失业报告。上月的失业状况报告将在本周五出炉。

    One of the key indicators - the Labor Department 's monthly employment report - comes Friday .

  20. 联邦储备委员会出版的当前经济状况报告,每年八期。

    Report on current economic conditions , published by the federal reserve board eight times each year .

  21. 向老板发送常规状况报告,与办公室同事保持联系。

    Give your boss regular status reports and stay in touch with your co-workers in the office .

  22. 参与环境状况报告的机构对“综合环境评估”一词是否理解?

- - -
10
Properties=species:S:1:pos:R:3:nbo_charge:R:1 method="wB97M-V/def2-TZVPD" smiles="C=C(Cl)C(=C)Cl" e_homo_ha=-0.3598 fmax_ev_per_a=11.61 de_lowest_kcal_mol=36.2 homo_lumo_gap_ha=0.3866
C -0.7370 1.3321 -0.4470 -0.3810
C -0.1022 0.6587 0.3513 -0.1096
Cl -0.1836 0.8844 2.0488 -0.0009
C 0.7791 -0.4670 0.1970 -0.0796
C 0.1195 -1.5373 -0.3148 -0.3677
Cl 2.3686 -0.4129 0.8617 0.0521
H -1.5640 2.1547 -0.0995 0.2251
H -0.4809 1.5167 -1.5667 0.2349
H -0.8986 -1.6956 -0.6530 0.2289
H 0.6990 -2.4337 -0.3779 0.1978

* * * * *

{
  "formula": "C4H6N2O",
  "method": "the ωB97M-V functional and the def2-TZVPD basis",
  "de_lowest_kj_mol": 561.8,
  "homo_lumo_gap_ev": 9.18,
  "fmax_ev_per_a": 6.2,
  "species": ["C", "C", "C", "C", "H", "H", "H", "H", "H", "H", "N", "N", "O"],
  "positions_angstrom": [[1.31953, -0.91648, 0.37358], [0.30240, 0.23665, 0.10153], [-1.78477, 0.76087, -0.16562], [-1.28879, 1.47593, 0.87394], [1.56982, -0.44695, -1.81507], [0.21993, -1.85365, -1.54716], [0.91999, -1.80013, 1.17969], [2.25651, -0.51634, 0.71231], [-2.57811, 1.10782, -0.77099], [-1.57159, 2.49114, 1.53708], [1.25935, -1.52439, -1.10483], [-0.72452, -0.07192, -0.63935], [0.10026, 1.05745, 1.26489]]
}

{
  "formula": "C4H6N2O",
  "method": "the ωB97M-V functional and the def2-TZVPD basis",
  "de_lowest_kj_mol": 421.4,
  "homo_lumo_gap_ev": 9.40,
  "smiles": "C1=CCOCNN=1",
  "fmax_ev_per_a": 0.6,
  "species": ["C", "C", "C", "O", "C", "N", "N", "H", "H", "H", "H", "H", "H"],
  "positions_angstrom": [[1.24686, 0.79033, -0.31863], [1.44176, -0.38753, 0.23495], [0.45256, -1.42837, -0.24559], [-0.83738, -0.83502, -0.47238], [-1.13149, 0.32267, 0.26561], [-0.81914, 1.49710, -0.54035], [0.54564, 1.63411, -0.91063], [1.98849, -0.50625, 1.16375], [0.73182, -1.89130, -1.19636], [0.36523, -2.22211, 0.50865], [-2.20302, 0.34207, 0.47588], [-0.58993, 0.31250, 1.22244], [-1.19142, 2.37179, -0.18732]]
}

{
  "formula": "C4H6N2O",
  "method": "the ωB97M-V functional and the def2-TZVPD basis",
  "de_lowest_kj_mol": 311.2,
  "homo_lumo_gap_ev": 9.32,
  "smiles": "Cc1cc(N)on1",
  "fmax_ev_per_a": 1.2,
  "species": ["C", "C", "C", "C", "N", "O", "N", "H", "H", "H", "H", "H", "H"],
  "positions_angstrom": [[-2.03706, 0.38509, -0.15689], [-0.76748, -0.32209, 0.17309], [0.31102, 0.18900, 0.94603], [1.34836, -0.50973, 0.39726], [2.52772, -0.09952, -0.22462], [0.90091, -1.59239, -0.25535], [-0.44328, -1.37950, -0.52760], [-1.97511, 0.71473, -1.20166], [-2.88533, -0.29008, -0.06026], [-2.16743, 1.26893, 0.46940], [0.32574, 1.05723, 1.59055], [2.67248, 0.88836, -0.04676], [2.14505, -0.17695, -1.17717]]
}

{
  "formula": "C4H6N2O",
  "method": "the ωB97M-V functional and the def2-TZVPD basis",
  "de_lowest_kj_mol": 644.1,
  "homo_lumo_gap_ev": [9.27, 9.27],
  "fmax_ev_per_a": 0.6,
  "species": ["C", "O", "C", "N", "N", "C", "C", "H", "H", "H", "H", "H", "H"],
- - -

    Is the term " integrated environmental assessment " well understood by those institutions engaged in SOE reporting ?

  23. 准备洗车站的执行计划和状况报告,确保计划按照具体要求得以执行;

    Prepares car wash station execution plan and status reports and work to ensure plans adhere to required specifications .

  24. 科学界(学术和研究机构)参与环境状况报告工作的程度如何?

    To what extent is the scientific community ( academic and research institutions ) engaged in the SOE reporting process ?

  25. 同时,当士兵受伤或者极度疲劳时,它还能将士兵的状况报告给指挥官和医务兵。

    If necessary , the WPSM can notify medics and commanders if the soldier has been wounded or has become fatigued .

  26. 向经理人员提供每周的状况报告,包括已耗时间、完工估计时间以及实际与预算的对比。

    Provide manager with weekly status reports , including summary of hours incurred , estimates to complete and budget versus actual status .

  27. 根据他的释放条件,迈格拉希必须住在他在的黎波里的家中,并提供每月健康状况报告。

    Under the terms of his release , al-Megrahi must live at his Tripoli home and provide monthly reports of his medical condition .

  28. 每年报送《经营管理状况报告》和会计师事务所出具的上一年度审计报告;

    Submitting a Report on Business Management Status and the audit report for the previous year as issued by an accounting firm every year ;

  29. 该协会发布了一份年度《空气状况报告》,让美国人了解自己所在环境的空气质量。

    The association releases an annual State of the Air report , which allows Americans to find out about air quality in their own locale .

  30. 上一年度末和最近季度末经会计事务所审计的偿付能力状况报告及其说明;

    A report of solvency status at the end of the previous year and that of the recent quarter audited by an accounting firm and their explanations ;